**Brief:**
Give back the whole of the contents further below verbatim.
**File:**
# 1
This record from the Open Molecules 2025 dataset describes C8H8Br4CoF12InO12S4 as an isolated structure in a non-equilibrium geometry. The level of theory is ωB97M-V/def2-TZVPD.

```
50
Properties=species:S:1:pos:R:3:lowdin_spin:R:1
O -1.22 -0.75 4.37 0.216
F -2.93 -4.12 3.95 -0.002
F 2.05 1.29 -0.58 0.001
F 2.46 -0.53 0.44 0.001
F -0.77 -3.81 4.00 -0.002
O -4.62 1.29 3.46 0.005
H 4.47 -0.53 -1.26 0.000
S -2.39 -2.07 -1.96 0.009
F -4.75 3.97 2.62 0.001
F -4.82 3.17 0.56 0.000
H 4.10 4.13 -1.36 0.000
H 3.96 2.09 -2.70 0.000
O -2.20 -2.64 -0.64 0.043
F -2.06 -3.52 5.77 -0.001
O -1.03 -0.22 0.73 0.046
F -3.00 4.03 1.43 0.000
C -4.13 3.36 1.70 0.002
Br 3.28 -3.33 -1.91 0.000
C -3.90 -2.88 -2.80 0.000
O -3.43 0.78 1.43 0.025
H 3.85 -0.45 -2.89 0.000
Br 5.92 4.37 -3.13 0.000
C 3.34 2.95 -2.94 0.000
In 0.18 1.78 4.65 -0.002
F -4.60 -3.31 -1.68 0.001
O -1.22 -2.24 -2.76 0.012
S -3.59 1.75 2.54 0.004
O -2.30 2.00 3.21 0.002
S -2.25 -1.60 3.88 -0.034
O 0.78 -0.10 2.52 0.008
H 3.40 5.05 -2.75 0.000
H 5.14 -2.59 -3.42 0.000
F 1.00 -0.47 -1.25 0.000
C -1.94 -3.39 4.47 -0.007
Br 3.25 3.16 -4.89 0.000
C 4.89 -2.37 -2.38 0.000
F -3.64 -3.86 -3.74 0.000
F -4.64 -1.86 -3.34 0.000
H 5.65 -2.78 -1.72 0.000
O -2.48 -1.53 2.46 0.215
O -3.51 -1.15 4.49 0.613
Br 6.41 -0.11 -2.83 0.000
H 2.33 2.90 -2.53 0.000
C 1.52 0.17 -0.14 0.003
S 0.19 0.43 1.28 0.006
C 4.04 4.22 -2.44 0.000
O 0.11 1.88 1.53 0.007
C 4.66 -0.87 -2.28 0.000
O -2.76 -0.72 -1.59 0.039
Co -2.82 -0.95 0.45 2.791
```

Properties
Charge   0
2S+1   5
⟨S²⟩   6.02
HOMO-LUMO gap (alpha / beta)   8.773 / 3.901 eV
Total energy   -431913.226 eV


# 2
This record from the Open Molecules 2025 dataset describes C15H16ClInN as an isolated structure in a non-equilibrium geometry. The level of theory is ωB97M-V/def2-TZVPD.

```
34
Properties=species:S:1:pos:R:3:mulliken_charge:R:1
C 0.27 -2.87 -1.91 -0.569
H 1.41 0.22 -2.66 0.362
C 0.02 0.21 1.93 -1.740
C 0.65 1.53 1.81 0.544
C -0.05 2.76 1.97 0.459
C 1.97 4.01 1.50 -0.363
H 2.81 -1.03 -0.70 0.562
H -0.54 -1.50 -3.50 0.294
C 2.00 1.59 1.42 -0.205
H 0.06 4.91 1.97 0.352
H 2.53 0.66 1.21 0.275
H -0.32 -3.77 -2.07 0.445
C -3.52 -1.62 -1.47 -0.758
C 0.62 3.97 1.84 -0.472
H 1.73 -3.49 -0.34 0.389
H 3.69 2.82 0.95 0.345
H -1.84 -3.46 0.47 0.225
C 1.34 -2.72 -0.99 -0.738
H -1.72 1.28 -1.66 -0.025
C 1.15 -0.76 -2.20 -0.524
C -2.64 -1.68 -0.47 0.548
C 1.90 -1.41 -1.16 -0.566
H 0.72 -0.54 2.34 0.381
H -3.52 -0.80 -2.19 0.273
N -1.84 0.28 -1.37 -0.665
C 2.65 2.81 1.27 -0.712
H -0.91 0.17 2.51 0.550
C -2.27 -2.44 0.61 -0.755
In -0.45 -0.60 -0.11 0.725
C 0.16 -1.67 -2.66 -0.266
H -2.51 -2.20 1.66 0.267
Cl -1.76 2.78 2.20 -0.232
H 2.46 4.97 1.39 0.331
H -4.26 -2.42 -1.60 0.263
```

Properties
Charge   -1
HOMO-LUMO gap (alpha / beta)   5.570 / 5.567 eV
Total energy   -34995.151 eV


# 3
This record from the Open Molecules 2025 dataset describes C22H36CrO2P2 as an isolated structure in a non-equilibrium geometry. The level of theory is ωB97M-V/def2-TZVPD.

```
63
Properties=species:S:1:pos:R:3:lowdin_spin:R:1
O -2.42 1.52 1.38 0.032
H 4.54 2.24 -0.75 0.000
H 0.68 0.26 -4.48 0.000
H -1.35 -3.34 2.43 0.000
H -2.82 1.99 -3.02 0.001
H 1.39 -0.90 0.15 0.008
H 1.70 0.06 3.04 0.006
C -0.27 -3.16 2.26 -0.002
C -4.51 0.47 1.82 0.001
H 0.06 -3.63 1.32 -0.001
H 2.73 -2.39 0.72 -0.001
C 3.11 0.88 -1.49 0.004
C 4.21 -1.92 -0.82 0.000
C -2.21 1.63 -2.18 0.010
H 2.95 -0.40 2.05 0.000
H -6.34 2.41 3.94 0.000
C 0.38 -1.25 0.39 -0.072
H 1.83 -1.66 3.55 0.001
H -7.96 0.52 3.65 0.000
H -5.10 -1.45 1.07 0.000
H -4.14 2.35 2.78 0.000
H 0.96 -0.01 -1.48 0.008
C -3.20 0.52 1.12 0.021
H -2.61 0.68 -1.74 0.002
H -0.01 -1.89 -0.43 0.004
H -7.33 -1.41 2.22 0.000
C 4.35 1.15 -0.71 0.001
C 2.89 -0.21 -2.24 0.000
H 0.60 -0.52 4.23 0.001
H 0.35 -3.46 3.12 0.000
Cr -0.67 0.52 0.62 3.787
H 2.23 -0.15 -3.12 0.000
C 1.14 -0.83 3.32 0.010
C -6.09 1.57 3.30 0.000
H 1.05 3.10 -2.28 0.000
H 1.18 2.43 -3.95 0.000
H 0.73 1.42 -0.50 0.041
H 5.20 0.65 -1.20 0.000
P -0.53 1.35 -2.70 0.012
**Here it is:**
# 1
This record from the Open Molecules 2025 dataset describes C8H8Br4CoF12InO12S4 as an isolated structure in a non-equilibrium geometry. The level of theory is ωB97M-V/def2-TZVPD.

```
50
Properties=species:S:1:pos:R:3:lowdin_spin:R:1
O -1.22 -0.75 4.37 0.216
F -2.93 -4.12 3.95 -0.002
F 2.05 1.29 -0.58 0.001
F 2.46 -0.53 0.44 0.001
F -0.77 -3.81 4.00 -0.002
O -4.62 1.29 3.46 0.005
H 4.47 -0.53 -1.26 0.000
S -2.39 -2.07 -1.96 0.009
F -4.75 3.97 2.62 0.001
F -4.82 3.17 0.56 0.000
H 4.10 4.13 -1.36 0.000
H 3.96 2.09 -2.70 0.000
O -2.20 -2.64 -0.64 0.043
F -2.06 -3.52 5.77 -0.001
O -1.03 -0.22 0.73 0.046
F -3.00 4.03 1.43 0.000
C -4.13 3.36 1.70 0.002
Br 3.28 -3.33 -1.91 0.000
C -3.90 -2.88 -2.80 0.000
O -3.43 0.78 1.43 0.025
H 3.85 -0.45 -2.89 0.000
Br 5.92 4.37 -3.13 0.000
C 3.34 2.95 -2.94 0.000
In 0.18 1.78 4.65 -0.002
F -4.60 -3.31 -1.68 0.001
O -1.22 -2.24 -2.76 0.012
S -3.59 1.75 2.54 0.004
O -2.30 2.00 3.21 0.002
S -2.25 -1.60 3.88 -0.034
O 0.78 -0.10 2.52 0.008
H 3.40 5.05 -2.75 0.000
H 5.14 -2.59 -3.42 0.000
F 1.00 -0.47 -1.25 0.000
C -1.94 -3.39 4.47 -0.007
Br 3.25 3.16 -4.89 0.000
C 4.89 -2.37 -2.38 0.000
F -3.64 -3.86 -3.74 0.000
F -4.64 -1.86 -3.34 0.000
H 5.65 -2.78 -1.72 0.000
O -2.48 -1.53 2.46 0.215
O -3.51 -1.15 4.49 0.613
Br 6.41 -0.11 -2.83 0.000
H 2.33 2.90 -2.53 0.000
C 1.52 0.17 -0.14 0.003
S 0.19 0.43 1.28 0.006
C 4.04 4.22 -2.44 0.000
O 0.11 1.88 1.53 0.007
C 4.66 -0.87 -2.28 0.000
O -2.76 -0.72 -1.59 0.039
Co -2.82 -0.95 0.45 2.791
```

Properties
Charge   0
2S+1   5
⟨S²⟩   6.02
HOMO-LUMO gap (alpha / beta)   8.773 / 3.901 eV
Total energy   -431913.226 eV


# 2
This record from the Open Molecules 2025 dataset describes C15H16ClInN as an isolated structure in a non-equilibrium geometry. The level of theory is ωB97M-V/def2-TZVPD.

```
34
Properties=species:S:1:pos:R:3:mulliken_charge:R:1
C 0.27 -2.87 -1.91 -0.569
H 1.41 0.22 -2.66 0.362
C 0.02 0.21 1.93 -1.740
C 0.65 1.53 1.81 0.544
C -0.05 2.76 1.97 0.459
C 1.97 4.01 1.50 -0.363
H 2.81 -1.03 -0.70 0.562
H -0.54 -1.50 -3.50 0.294
C 2.00 1.59 1.42 -0.205
H 0.06 4.91 1.97 0.352
H 2.53 0.66 1.21 0.275
H -0.32 -3.77 -2.07 0.445
C -3.52 -1.62 -1.47 -0.758
C 0.62 3.97 1.84 -0.472
H 1.73 -3.49 -0.34 0.389
H 3.69 2.82 0.95 0.345
H -1.84 -3.46 0.47 0.225
C 1.34 -2.72 -0.99 -0.738
H -1.72 1.28 -1.66 -0.025
C 1.15 -0.76 -2.20 -0.524
C -2.64 -1.68 -0.47 0.548
C 1.90 -1.41 -1.16 -0.566
H 0.72 -0.54 2.34 0.381
H -3.52 -0.80 -2.19 0.273
N -1.84 0.28 -1.37 -0.665
C 2.65 2.81 1.27 -0.712
H -0.91 0.17 2.51 0.550
C -2.27 -2.44 0.61 -0.755
In -0.45 -0.60 -0.11 0.725
C 0.16 -1.67 -2.66 -0.266
H -2.51 -2.20 1.66 0.267
Cl -1.76 2.78 2.20 -0.232
H 2.46 4.97 1.39 0.331
H -4.26 -2.42 -1.60 0.263
```

Properties
Charge   -1
HOMO-LUMO gap (alpha / beta)   5.570 / 5.567 eV
Total energy   -34995.151 eV


# 3
This record from the Open Molecules 2025 dataset describes C22H36CrO2P2 as an isolated structure in a non-equilibrium geometry. The level of theory is ωB97M-V/def2-TZVPD.

```
63
Properties=species:S:1:pos:R:3:lowdin_spin:R:1
O -2.42 1.52 1.38 0.032
H 4.54 2.24 -0.75 0.000
H 0.68 0.26 -4.48 0.000
H -1.35 -3.34 2.43 0.000
H -2.82 1.99 -3.02 0.001
H 1.39 -0.90 0.15 0.008
H 1.70 0.06 3.04 0.006
C -0.27 -3.16 2.26 -0.002
C -4.51 0.47 1.82 0.001
H 0.06 -3.63 1.32 -0.001
H 2.73 -2.39 0.72 -0.001
C 3.11 0.88 -1.49 0.004
C 4.21 -1.92 -0.82 0.000
C -2.21 1.63 -2.18 0.010
H 2.95 -0.40 2.05 0.000
H -6.34 2.41 3.94 0.000
C 0.38 -1.25 0.39 -0.072
H 1.83 -1.66 3.55 0.001
H -7.96 0.52 3.65 0.000
H -5.10 -1.45 1.07 0.000
H -4.14 2.35 2.78 0.000
H 0.96 -0.01 -1.48 0.008
C -3.20 0.52 1.12 0.021
H -2.61 0.68 -1.74 0.002
H -0.01 -1.89 -0.43 0.004
H -7.33 -1.41 2.22 0.000
C 4.35 1.15 -0.71 0.001
C 2.89 -0.21 -2.24 0.000
H 0.60 -0.52 4.23 0.001
H 0.35 -3.46 3.12 0.000
Cr -0.67 0.52 0.62 3.787
H 2.23 -0.15 -3.12 0.000
C 1.14 -0.83 3.32 0.010
C -6.09 1.57 3.30 0.000
H 1.05 3.10 -2.28 0.000
H 1.18 2.43 -3.95 0.000
H 0.73 1.42 -0.50 0.041
H 5.20 0.65 -1.20 0.000
P -0.53 1.35 -2.70 0.012